Listing:
=====
a:
PBE BP2Pb2O9, optimized geometry; calculated volume = 14.74 Å³/atom; crystal system = monoclinic; space group = P2_1/c, No. 14; ρ = 5.08 Mg/m³
1.0
5.5973 0.0000 0.0000
0.0000 17.4773 0.0000
-5.5403 0.0000 8.4373
B P Pb O
4 8 8 36
direct
0.0972 0.1892 0.2386 B
0.0972 0.3108 0.7386 B
0.9028 0.6892 0.2614 B
0.9028 0.8108 0.7614 B
0.1385 0.0778 0.4342 P
0.1385 0.4222 0.9342 P
0.3208 0.6383 0.5520 P
0.3208 0.8617 0.0520 P
0.6792 0.1383 0.9480 P
0.6792 0.3617 0.4480 P
0.8615 0.5778 0.0658 P
0.8615 0.9222 0.5658 P
0.1140 0.6251 0.8121 Pb
0.1140 0.8749 0.3121 Pb
0.4777 0.0353 0.1895 Pb
0.4777 0.4647 0.6895 Pb
0.5223 0.5353 0.3105 Pb
0.5223 0.9647 0.8105 Pb
0.8860 0.1251 0.6879 Pb
0.8860 0.3749 0.1879 Pb
0.0260 0.0165 0.3021 O
0.0260 0.4835 0.8021 O
0.1105 0.5820 0.5542 O
0.1105 0.9180 0.0542 O
0.1134 0.6055 0.0572 O
0.1134 0.8945 0.5572 O
0.1862 0.2499 0.1961 O
0.1862 0.2501 0.6961 O
0.1863 0.6639 0.3698 O
0.1863 0.8361 0.8698 O
0.2585 0.1490 0.3812 O
0.2585 0.3510 0.8812 O
0.3605 0.7081 0.6552 O
0.3605 0.7919 0.1552 O
0.4050 0.0552 0.5944 O
0.4053 0.0949 0.9070 O
0.4053 0.4051 0.4070 O
0.4050 0.4448 0.0944 O
0.5950 0.5552 0.9056 O
0.5947 0.5949 0.5930 O
0.5947 0.9051 0.0930 O
0.5950 0.9448 0.4056 O
0.6395 0.2081 0.8448 O
0.6395 0.2919 0.3448 O
0.7415 0.6490 0.1188 O
0.7415 0.8510 0.6188 O
0.8137 0.1639 0.1302 O
0.8137 0.3361 0.6302 O
0.8138 0.7499 0.3039 O
0.8138 0.7501 0.8039 O
0.8866 0.1055 0.4428 O
0.8866 0.3945 0.9428 O
0.8895 0.0820 0.9458 O
0.8895 0.4180 0.4458 O
0.9740 0.5165 0.1979 O
0.9740 0.9835 0.6979 O

b:
PBE BP2Pb2O9, optimized geometry; calculated volume = 13.41 Å³/atom; crystal system = monoclinic; space group = P2_1/c, No. 14; ρ = 5.58 Mg/m³
1.0
5.6437 0.0000 0.0000
0.0000 8.3141 0.0000
-5.0216 0.0000 16.0020
B P Pb O
4 8 8 36
direct
0.0752 0.2477 0.2151 B
0.0752 0.2523 0.7151 B
0.9248 0.7477 0.2849 B
0.9248 0.7523 0.7849 B
0.1435 0.0453 0.8548 P
0.1435 0.4547 0.3548 P
0.2140 0.5633 0.9167 P
0.2140 0.9367 0.4167 P
0.7860 0.0633 0.5833 P
0.7860 0.4367 0.0833 P
0.8565 0.5453 0.6452 P
0.8565 0.9547 0.1452 P
0.3114 0.1819 0.0608 Pb
0.3114 0.3181 0.5608 Pb
0.3328 0.6879 0.1333 Pb
0.3328 0.8121 0.6333 Pb
0.6672 0.1879 0.3667 Pb
0.6672 0.3121 0.8667 Pb
0.6886 0.6819 0.4392 Pb
0.6886 0.8181 0.9392 Pb
=====
Exercise:
Duplicate only the last part of the contents above, starting with the line that has "0.9480".
Here it is:
0.6792 0.1383 0.9480 P
0.6792 0.3617 0.4480 P
0.8615 0.5778 0.0658 P
0.8615 0.9222 0.5658 P
0.1140 0.6251 0.8121 Pb
0.1140 0.8749 0.3121 Pb
0.4777 0.0353 0.1895 Pb
0.4777 0.4647 0.6895 Pb
0.5223 0.5353 0.3105 Pb
0.5223 0.9647 0.8105 Pb
0.8860 0.1251 0.6879 Pb
0.8860 0.3749 0.1879 Pb
0.0260 0.0165 0.3021 O
0.0260 0.4835 0.8021 O
0.1105 0.5820 0.5542 O
0.1105 0.9180 0.0542 O
0.1134 0.6055 0.0572 O
0.1134 0.8945 0.5572 O
0.1862 0.2499 0.1961 O
0.1862 0.2501 0.6961 O
0.1863 0.6639 0.3698 O
0.1863 0.8361 0.8698 O
0.2585 0.1490 0.3812 O
0.2585 0.3510 0.8812 O
0.3605 0.7081 0.6552 O
0.3605 0.7919 0.1552 O
0.4050 0.0552 0.5944 O
0.4053 0.0949 0.9070 O
0.4053 0.4051 0.4070 O
0.4050 0.4448 0.0944 O
0.5950 0.5552 0.9056 O
0.5947 0.5949 0.5930 O
0.5947 0.9051 0.0930 O
0.5950 0.9448 0.4056 O
0.6395 0.2081 0.8448 O
0.6395 0.2919 0.3448 O
0.7415 0.6490 0.1188 O
0.7415 0.8510 0.6188 O
0.8137 0.1639 0.1302 O
0.8137 0.3361 0.6302 O
0.8138 0.7499 0.3039 O
0.8138 0.7501 0.8039 O
0.8866 0.1055 0.4428 O
0.8866 0.3945 0.9428 O
0.8895 0.0820 0.9458 O
0.8895 0.4180 0.4458 O
0.9740 0.5165 0.1979 O
0.9740 0.9835 0.6979 O

b:
PBE BP2Pb2O9, optimized geometry; calculated volume = 13.41 Å³/atom; crystal system = monoclinic; space group = P2_1/c, No. 14; ρ = 5.58 Mg/m³
1.0
5.6437 0.0000 0.0000
0.0000 8.3141 0.0000
-5.0216 0.0000 16.0020
B P Pb O
4 8 8 36
direct
0.0752 0.2477 0.2151 B
0.0752 0.2523 0.7151 B
0.9248 0.7477 0.2849 B
0.9248 0.7523 0.7849 B
0.1435 0.0453 0.8548 P
0.1435 0.4547 0.3548 P
0.2140 0.5633 0.9167 P
0.2140 0.9367 0.4167 P
0.7860 0.0633 0.5833 P
0.7860 0.4367 0.0833 P
0.8565 0.5453 0.6452 P
0.8565 0.9547 0.1452 P
0.3114 0.1819 0.0608 Pb
0.3114 0.3181 0.5608 Pb
0.3328 0.6879 0.1333 Pb
0.3328 0.8121 0.6333 Pb
0.6672 0.1879 0.3667 Pb
0.6672 0.3121 0.8667 Pb
0.6886 0.6819 0.4392 Pb
0.6886 0.8181 0.9392 Pb